Restore “Reasonable Suspicion” for Police Pursuit
All updates to this webpage will cease at midnight on March 7. No further updates will occur until after the election in November.
## Data records, kept here for reference
1.
Entry from the OMol25 dataset: C19H27HfN5O3 as an isolated structure (ωB97M-V/def2-TZVPD).

net charge	+4
relative energy (zero: lowest compared OMol25 entry of this formula, charge and spin)	0.00	kJ/mol
maximum force	0.29525	Eh/bohr

Positions of all 55 atoms, in Å:
N (-0.48, 2.92, -0.49)
C (-0.15, 4.00, -0.75)
C (0.14, 5.42, -0.82)
H (-0.80, 5.97, -0.98)
H (0.82, 5.63, -1.65)
H (0.59, 5.74, 0.14)
N (2.52, -1.64, -0.87)
C (3.38, -2.20, -1.41)
C (4.55, -2.96, -1.78)
H (5.11, -2.44, -2.56)
H (4.25, -3.95, -2.15)
H (5.18, -3.08, -0.89)
N (-2.83, -0.75, -0.51)
C (-3.69, -1.49, -0.77)
C (-4.88, -2.31, -0.83)
H (-4.83, -3.08, -0.03)
H (-4.96, -2.80, -1.81)
H (-5.77, -1.68, -0.67)
Hf (0.10, -0.06, -1.32)
C (-0.20, -2.17, -0.60)
O (-0.32, -3.13, 0.04)
C (1.95, 1.06, -0.59)
O (2.86, 1.50, -0.03)
C (0.69, 1.23, -3.02)
C (-0.71, 1.29, -2.92)
C (-1.47, 0.10, -2.93)
C (-0.82, -1.15, -3.03)
C (0.60, -1.22, -3.14)
C (1.37, -0.03, -3.12)
H (1.27, 2.16, -2.93)
H (-1.24, 2.24, -2.81)
H (-2.56, 0.17, -2.84)
H (-1.42, -2.06, -2.95)
H (1.10, -2.19, -3.08)
H (2.45, -0.07, -3.05)
C (-2.03, 1.31, 1.67)
N (-1.09, 0.68, 2.59)
C (-1.53, 0.56, 3.96)
C (-0.02, 0.04, 2.05)
O (0.03, 0.02, 0.77)
N (0.95, -0.54, 2.79)
C (1.14, -0.35, 4.21)
C (2.03, -1.30, 2.16)
H (-2.76, 1.86, 2.27)
H (-2.56, 0.60, 1.03)
H (-1.53, 2.02, 0.99)
H (-1.53, -0.50, 4.28)
H (-0.90, 1.16, 4.63)
H (-2.55, 0.94, 4.01)
H (0.41, -0.96, 4.78)
H (2.14, -0.72, 4.45)
H (1.08, 0.71, 4.47)
H (1.94, -1.32, 1.08)
H (3.00, -0.85, 2.43)
H (2.03, -2.33, 2.54)

=====

2.
Entry from the OMol25 dataset: one molecule with the formula C19H27N3O2 (ωB97M-V/def2-TZVPD).

net charge	0
relative energy (zero: lowest compared OMol25 entry of this formula, charge and spin)	24.15	kJ/mol
maximum force	0.01551	Eh/bohr
SMILES string	CCCCC1(CCCC)C(=O)NC(=Nc2cccc(C)c2)NC1=O

Positions of all 51 atoms, in Å:
C (4.62, 0.09, -3.25)
C (3.50, -0.80, -2.72)
C (2.95, -0.28, -1.39)
C (1.82, -1.16, -0.88)
H (0.97, -1.05, -1.57)
H (2.12, -2.21, -0.92)
C (1.34, -0.86, 0.57)
C (1.53, 0.62, 0.84)
O (2.48, 1.10, 1.41)
N (0.55, 1.43, 0.32)
C (-0.71, 1.05, -0.07)
N (-1.50, 1.92, -0.54)
C (-2.83, 1.71, -0.87)
C (-3.74, 1.20, 0.05)
C (-5.09, 1.08, -0.27)
C (-5.51, 1.45, -1.54)
C (-4.61, 1.96, -2.46)
C (-3.27, 2.10, -2.13)
H (-2.56, 2.49, -2.84)
H (-4.95, 2.25, -3.44)
H (-6.55, 1.35, -1.81)
C (-6.07, 0.56, 0.74)
H (-6.83, -0.05, 0.26)
H (-5.57, -0.04, 1.50)
H (-6.56, 1.40, 1.23)
H (-3.40, 0.94, 1.04)
N (-1.00, -0.30, 0.10)
C (-0.13, -1.26, 0.56)
O (-0.54, -2.36, 0.84)
H (-1.96, -0.58, -0.05)
H (0.70, 2.43, 0.38)
C (2.05, -1.72, 1.63)
C (3.58, -1.75, 1.58)
C (4.17, -2.64, 2.67)
C (3.98, -2.07, 4.08)
H (2.94, -2.08, 4.37)
H (4.35, -1.05, 4.13)
H (4.53, -2.67, 4.80)
H (3.72, -3.63, 2.62)
H (5.24, -2.74, 2.48)
H (3.96, -0.73, 1.70)
H (3.90, -2.14, 0.61)
H (1.74, -1.35, 2.61)
H (1.67, -2.74, 1.53)
H (3.76, -0.23, -0.66)
H (2.58, 0.74, -1.54)
H (2.69, -0.85, -3.45)
H (3.88, -1.82, -2.57)
H (5.00, -0.30, -4.19)
H (4.25, 1.10, -3.42)
H (5.44, 0.14, -2.54)
During the 2021 session, Democratic majorities changed a state law to limit the ability of officers to do vehicle pursuits of suspects. Before this change in the law, officers only needed “reasonable suspicion” to initiate a vehicle pursuit of a suspect. Under the 2021 law, most vehicle pursuits are only allowed based on “probable cause.”
The new law has forced officers to watch criminals drive away. It also has emboldened criminals to commit other crimes like auto theft and retail theft. Many people throughout Washington have been victimized. Over the past two years, our state has been shaken by an auto-theft crisis.
According to the Washington State Patrol, between 2014 and 2020 an average of 1,200 suspects per year fled from police. In 2022, after the pursuit standard was changed to probable cause, 3,100 suspects fled — an increase of more than 150%. Before the change in this law, the statewide record for stolen cars in a single year was 30,000. That record increased to nearly 47,000 stolen vehicles in 2022.
Washington is fourth in the U.S. for auto thefts per capita.
During the 2023 legislative session, the Legislature approved Senate Bill 5352, which allows law-enforcement officers to engage in vehicle pursuits in more situations than Washington law has allowed since 2021.
The 2023 law limits vehicle pursuits to situations where the subject of the pursuit poses a serious risk of harm to others, as opposed to an “imminent threat” to the safety of others. SB 5352 allows a vehicle pursuit if there is reasonable suspicion, but only for suspicion of violent offenses, sex offenses, vehicular assault offenses, assault in the first-to-fourth degree involving domestic violence, an escape offense, or a driving-under-the-influence offense.
Many SB 5352 opponents have argued it still doesn’t go far enough to allow law-enforcement officers to pursue car thieves and the reckless drivers who have benefited from the restrictions put on pursuits by the majority Democrats in 2021.
Initiative 2113 was filed out of public frustration with the Democrat-led Legislature for passing the 2021 law that severely weakened officers’ ability to pursue suspects, which is a key reason for the increase of crime in Washington. People are sick and tired of rising crime and police officers not being allowed to do their job to pursue and arrest suspects.
I-2113 passed the Legislature on March 4, 2024 and will return the standard for vehicular pursuit to “reasonable suspicion,” which will give law enforcement more discretion in the field on when to pursue a suspect. Republicans strongly supported this initiative.
Watch senator testimony before the committee vote
Initiative 2113 was voted out of the Senate Law & Justice Committee on March 1, 2024. Republican Senators Mike Padden, Keith Wagoner, Lynda Wilson, Jim McCune and Nikki Torres spoke in support of I-2113.
Watch the hearing
The House and Senate committees that address law and justice issues held a joint hearing Feb. 28 for I-2113. Nearly 6,000 people signed in to either support or oppose I-2113. Approximately 97% signed in PRO. Watch the hearing.
Additional testimony:
Why is this initiative necessary?

Victory on I-2113!

I-2113 passed in the Senate 36-13. It passed in the House 77-20. Since Democrats have the majority in both chambers, it’s clear that I-2113 had strong bipartisan support. Are Democrats realizing that the 2021 changes to the pursuit laws were a dangerous mistake?
Watch and listen to these Senators speak on I-2113 during the floor debate.
In the News
Senate Republican Leader John Braun, R-Centralia, says there’s still time to give the remaining three initiatives a hearing. Read the full statement.
“Some opponents of the initiatives have testified that the Legislature has better things to do than hold these hearings. I couldn’t disagree more – upholding our state constitution should never be characterized as a waste of time. It’s been a tough fight to get Democrats to perform their constitutional duty by prioritizing the initiatives over everything except bills that involve appropriations, but I see no reason why the majority can’t find three more hours in the next week to listen to the people on the three remaining measures. The fight isn’t over. We’ll continue to call upon them to do the right thing and listen to the people.”

Police Discretion & Local Control
Local law enforcement must have the discretion to respond to threats in their community. Restoring the standard for vehicular pursuit to “reasonable suspicion” places the public trust in the professional knowledge, experience and judgment of local law enforcement. Two p.m. in downtown Seattle is different than 2 a.m. in Omak. Allow those who are charged with our safety to do their jobs.
Pass the Initiative
There has been a battle over data determining whether restricting police pursuits makes the roads safer. One thing is clear: Overall safety trends are going in the wrong direction. In 2022, there were 743 fatalities from motor vehicle crashes in Washington. That’s expected to rise to more than 770 when the final numbers are counted for 2023.
The Legislature ought to pass I-2113 this session, leaving the November ballot for other pressing issues.
Why is this initiative necessary?
Initiative 2113 – Reauthorizing “reasonable suspicion” as the standard for the police vehicular pursuit of criminals was necessitated by the overwhelming Democrat vote for House Bill 1054 in 2021, which was signed into law by Gov. Jay Inslee. HB 1054 banned reasonable police pursuit.
Three things are very clear. Our streets are more dangerous now than before the change in the law. Forbidding officers to pursue without probable cause emboldens and encourages criminals to victimize others. And our communities can’t afford to wait around one or two years for Democrats, or the CJTC, to act.
In the News
I think the word is out that if you want to commit a crime in the state, do it in a stolen car because you can’t be pursued.
“The truth is that there is data, but it shows that the no-pursuit law has made Washington less safe. The data they used to pass this law have been debunked but the law still hasn’t been changed. I wish people would just look beyond party lines to see and hear us as people. I know it takes bravery, but that’s how you keep people safe.”